It remains to echo the whole of the block underneath without additions.

┌──
## AlCd2SeCl (PBE-GGA)

Data for an optimized crystal structure of AlCd2SeCl.

Cell: 5.4557 5.9482 5.4557 Å, 90.00 90.00 90.00°
Positions (direct):
Cd: 0.5000 0.0000 0.0000
Cd: 0.0000 0.0000 0.5000
Se: 0.0000 0.0000 0.0000
Cl: 0.5000 0.5000 0.5000
Al: 0.0000 0.5000 0.0000

Calculated total energy   -2.063 eV/atom
Space-group type   P4/mmm (123)
Mass density   3.43 g cm⁻³
Total moment   0.00 μB/f.u.

----------

! LiCo2BAsAu | the Alexandria database | GGA-PBE | optimized geometry; values from VASP
! Formation energy ... -0.068 eV per atom
! Size of the total moment ... 0.5 μB/f.u.
! Energy above the lowest structure with this stoichiometry ... 0.186 eV per atom
&SYSTEM
  ibrav = 0, nat = 6, ntyp = 5
/
ATOMIC_SPECIES
Li 6.94 Li.upf
Co 58.93 Co.upf
B 10.81 B.upf
As 74.92 As.upf
Au 196.97 Au.upf
ATOMIC_POSITIONS crystal
Li 0.0000 0.0000 0.0000
Co 0.5900 0.5900 0.5900
Co 0.8347 0.8347 0.8347
B 0.7116 0.7116 0.7116
As 0.2228 0.2228 0.2228
Au 0.4116 0.4116 0.4116
CELL_PARAMETERS angstrom
1.9989 1.1540 5.2856
-1.9989 1.1540 5.2856
0.0000 -2.3081 5.2856

----------

# NaCoRuO4 (GGA+U, relaxed)
# Energy = -0.2258 Ha/atom
data_NaCoRuO4
_chemical_formula_sum 'Na4 Co4 Ru4 O16'
_space_group_name_H-M_alt 'I m m a'
_space_group_IT_number 74
_space_group_name_Hall '-I 2b 2'
_cell_length_a 5.964
_cell_length_b 6.067
_cell_length_c 8.855
_cell_angle_alpha 90.00
_cell_angle_beta 90.00
_cell_angle_gamma 90.00
loop_
_atom_site_label
_atom_site_type_symbol
_atom_site_fract_x
_atom_site_fract_y
_atom_site_fract_z
Na1 Na 0.000 0.250 0.131
Co1 Co 0.250 0.250 0.750
Ru1 Ru 0.000 0.000 0.500
O1 O 0.000 0.043 0.727
O2 O 0.223 0.250 0.529

----------

# 1
The following is a GGA-PBE calculation of an optimized crystal structure of InReSeBr2, from the Alexandria database.

As for the formation energy (no corrections): 469.3 kJ/mol of formula units. The distance to the lowest polymorph of the same formula comes out at 0.8216 eV per atom. For the electronic total energy, the calculation gives -3.431 eV per atom. The density of states at the Fermi level is 1.38 states/eV/cell.

The structure belongs to space group P4/mmm (No. 123); the cell edges are 5.427, 5.427 and 5.376 Å and the angles 90.00°, 90.00° and 90.00°. The asymmetric unit holds In at (0.000, 0.000, 0.000), Re at (0.500, 0.500, 0.500), Se at (0.000, 0.000, 0.500) and Br at (0.000, 0.500, 0.000).

=====

# 2
The following is a GGA-PBE calculation of an optimized crystal structure of InReSe2Br, from the Alexandria database.

As for the formation energy (no corrections): 66.6 kJ/mol of formula units. The distance to the lowest polymorph of the same formula comes out at 0.0000 eV per atom. For the electronic total energy, the calculation gives -4.628 eV per atom. The density of states at the Fermi level is 1.25 states/eV/cell.

The structure belongs to space group P4/mmm (No. 123); the cell edges are 4.848, 4.848 and 5.552 Å and the angles 90.00°, 90.00° and 90.00°. The asymmetric unit holds In at (0.000, 0.000, 0.000), Re at (0.500, 0.500, 0.500), Se at (0.000, 0.500, 0.500) and Br at (0.500, 0.500, 0.000).
└──

## AlCd2SeCl (PBE-GGA)

Data for an optimized crystal structure of AlCd2SeCl.

Cell: 5.4557 5.9482 5.4557 Å, 90.00 90.00 90.00°
Positions (direct):
Cd: 0.5000 0.0000 0.0000
Cd: 0.0000 0.0000 0.5000
Se: 0.0000 0.0000 0.0000
Cl: 0.5000 0.5000 0.5000
Al: 0.0000 0.5000 0.0000

Calculated total energy   -2.063 eV/atom
Space-group type   P4/mmm (123)
Mass density   3.43 g cm⁻³
Total moment   0.00 μB/f.u.

----------

! LiCo2BAsAu | the Alexandria database | GGA-PBE | optimized geometry; values from VASP
! Formation energy ... -0.068 eV per atom
! Size of the total moment ... 0.5 μB/f.u.
! Energy above the lowest structure with this stoichiometry ... 0.186 eV per atom
&SYSTEM
  ibrav = 0, nat = 6, ntyp = 5
/
ATOMIC_SPECIES
Li 6.94 Li.upf
Co 58.93 Co.upf
B 10.81 B.upf
As 74.92 As.upf
Au 196.97 Au.upf
ATOMIC_POSITIONS crystal
Li 0.0000 0.0000 0.0000
Co 0.5900 0.5900 0.5900
Co 0.8347 0.8347 0.8347
B 0.7116 0.7116 0.7116
As 0.2228 0.2228 0.2228
Au 0.4116 0.4116 0.4116
CELL_PARAMETERS angstrom
1.9989 1.1540 5.2856
-1.9989 1.1540 5.2856
0.0000 -2.3081 5.2856

----------

# NaCoRuO4 (GGA+U, relaxed)
# Energy = -0.2258 Ha/atom
data_NaCoRuO4
_chemical_formula_sum 'Na4 Co4 Ru4 O16'
_space_group_name_H-M_alt 'I m m a'
_space_group_IT_number 74
_space_group_name_Hall '-I 2b 2'
_cell_length_a 5.964
_cell_length_b 6.067
_cell_length_c 8.855
_cell_angle_alpha 90.00
_cell_angle_beta 90.00
_cell_angle_gamma 90.00
loop_
_atom_site_label
_atom_site_type_symbol
_atom_site_fract_x
_atom_site_fract_y
_atom_site_fract_z
Na1 Na 0.000 0.250 0.131
Co1 Co 0.250 0.250 0.750
Ru1 Ru 0.000 0.000 0.500
O1 O 0.000 0.043 0.727
O2 O 0.223 0.250 0.529

----------

# 1
The following is a GGA-PBE calculation of an optimized crystal structure of InReSeBr2, from the Alexandria database.

As for the formation energy (no corrections): 469.3 kJ/mol of formula units. The distance to the lowest polymorph of the same formula comes out at 0.8216 eV per atom. For the electronic total energy, the calculation gives -3.431 eV per atom. The density of states at the Fermi level is 1.38 states/eV/cell.

The structure belongs to space group P4/mmm (No. 123); the cell edges are 5.427, 5.427 and 5.376 Å and the angles 90.00°, 90.00° and 90.00°. The asymmetric unit holds In at (0.000, 0.000, 0.000), Re at (0.500, 0.500, 0.500), Se at (0.000, 0.000, 0.500) and Br at (0.000, 0.500, 0.000).

=====

# 2
The following is a GGA-PBE calculation of an optimized crystal structure of InReSe2Br, from the Alexandria database.

As for the formation energy (no corrections): 66.6 kJ/mol of formula units. The distance to the lowest polymorph of the same formula comes out at 0.0000 eV per atom. For the electronic total energy, the calculation gives -4.628 eV per atom. The density of states at the Fermi level is 1.25 states/eV/cell.

The structure belongs to space group P4/mmm (No. 123); the cell edges are 4.848, 4.848 and 5.552 Å and the angles 90.00°, 90.00° and 90.00°. The asymmetric unit holds In at (0.000, 0.000, 0.000), Re at (0.500, 0.500, 0.500), Se at (0.000, 0.500, 0.500) and Br at (0.500, 0.500, 0.000).